-- Material --
<<<
One molecule with the formula C4H8O2, computed with ωB97M-V/def2-TZVPD.

Geometry as ORCA input:
```
! RIJCOSX wB97M-V def2-TZVPD def2/J DEFGRID3
* xyz 0 1
C -1.948 -0.558 -0.431
C -0.554 -0.068 -0.756
O -0.146 0.911 0.193
C 1.258 0.964 0.301
C 1.707 -0.192 1.178
O 2.517 -1.026 0.855
H -2.651 0.275 -0.343
H -1.952 -1.121 0.508
H -2.292 -1.220 -1.234
H 0.140 -0.922 -0.747
H -0.519 0.379 -1.760
H 1.530 1.918 0.768
H 1.751 0.896 -0.675
H 1.158 -0.236 2.144
*
```

The value obtained for the HOMO energy is -9.72 eV. The molecular weight is 88.1 g mol⁻¹. Its total energy is -307.652291 hartree. The calculation puts the frontier orbital gap at 10.7000 eV. The SMILES is CCOCC=O. For the energy relative to the best compared isomer or geometry (same formula, charge and spin), the calculation gives 157.9 kJ/mol. The LUMO energy comes out at 0.98 eV.

***

A 13-piece molecular cluster, C34H101N7O13 overall in a non-equilibrium geometry, computed with ωB97M-V/def2-TZVPD.

Geometry as ORCA input:
```
! RIJCOSX wB97M-V def2-TZVPD def2/J DEFGRID3
* xyz 0 1
C 16.357 18.869 9.609
O 15.251 19.219 10.438
H 17.320 19.236 10.021
H 16.450 17.768 9.493
H 16.219 19.301 8.610
H 15.166 20.187 10.485
C 14.104 15.229 8.311
O 13.993 15.297 6.940
H 14.103 14.167 8.648
H 15.061 15.635 8.657
H 13.220 15.676 8.766
H 14.660 14.794 6.509
C 10.015 18.321 14.038
O 11.172 18.943 13.603
H 9.434 18.983 14.730
H 9.347 18.007 13.255
H 10.261 17.455 14.718
H 11.092 19.441 12.773
C 8.038 17.682 10.597
O 7.287 16.563 10.294
H 9.003 17.499 10.997
H 8.138 18.423 9.813
H 7.438 18.197 11.344
H 7.870 15.990 9.802
C 18.592 15.805 12.850
O 18.146 14.503 12.489
H 18.454 15.967 13.948
H 19.600 15.997 12.517
H 17.982 16.554 12.315
H 17.187 14.508 12.424
C 10.242 15.120 7.828
O 8.884 15.418 8.299
H 10.812 14.510 8.505
H 10.190 14.598 6.829
H 10.812 16.038 7.704
H 8.331 15.516 7.519
C 17.359 12.391 7.480
C 17.658 12.610 8.973
C 17.531 11.396 9.930
O 16.144 11.062 9.952
C 15.875 9.808 10.490
N 19.056 13.180 9.036
H 17.329 13.406 7.058
H 16.435 11.871 7.363
H 18.208 11.757 7.124
H 16.913 13.345 9.330
H 17.892 11.610 10.950
H 18.112 10.546 9.500
H 15.712 9.973 11.559
H 16.710 9.154 10.222
H 14.951 9.352 10.125
H 19.181 13.674 9.927
H 19.687 12.345 9.031
C 8.553 13.263 10.814
C 9.745 13.983 11.487
C 9.759 14.087 12.967
O 9.795 12.852 13.649
C 9.829 13.046 15.068
N 10.987 13.386 11.015
H 8.508 12.365 11.396
H 8.733 13.035 9.745
H 7.579 13.810 10.852
H 9.713 14.987 11.132
H 8.940 14.692 13.400
H 10.653 14.663 13.260
H 10.548 13.816 15.365
H 10.095 12.065 15.443
H 8.831 13.294 15.390
H 11.753 13.821 11.496
H 11.039 12.405 11.328
C 10.909 8.707 12.299
C 12.109 9.014 13.193
C 12.451 10.468 13.335
O 13.587 10.737 14.201
C 13.593 12.014 14.895
N 11.690 8.420 14.483
H 10.672 7.623 12.312
H 11.078 9.018 11.252
H 10.072 9.278 12.724
H 12.983 8.403 12.930
H 11.595 10.976 13.759
H 12.524 10.930 12.380
H 14.611 12.118 15.263
H 12.790 11.929 15.645
H 13.356 12.851 14.225
H 12.494 8.478 15.117
H 10.923 9.025 14.810
C 9.970 15.460 18.790
C 11.278 14.780 18.380
C 12.196 15.715 17.596
O 13.315 15.032 17.194
C 14.336 15.885 16.722
N 11.891 14.124 19.474
H 10.048 16.251 19.545
H 9.365 14.679 19.149
H 9.383 15.791 17.920
H 11.006 14.001 17.686
H 12.394 16.627 18.207
H 11.597 16.154 16.730
H 14.559 16.597 17.493
H 13.909 16.386 15.909
H 15.253 15.325 16.465
H 12.578 13.504 19.161
H 12.352 14.729 20.168
C 12.772 16.911 11.384
C 13.422 16.533 12.772
C 14.431 15.408 12.656
O 13.924 14.221 12.136
C 14.922 13.383 11.689
N 14.095 17.696 13.294
H 12.206 17.818 11.398
H 12.130 16.133 10.960
H 13.562 17.071 10.678
H 12.616 16.309 13.492
H 14.876 15.222 13.639
H 15.230 15.834 12.014
H 15.621 13.880 11.018
H 14.421 12.582 11.180
H 15.516 12.926 12.516
H 13.528 18.301 13.887
H 14.632 18.268 12.643
C 11.872 20.000 9.438
C 12.244 20.829 10.652
C 12.871 22.195 10.293
O 14.184 21.928 9.824
C 14.648 22.905 8.925
N 11.009 20.994 11.510
H 12.723 19.392 9.119
H 11.635 20.660 8.578
H 11.033 19.352 9.628
H 12.925 20.296 11.250
>>>
-- Wanted --
Now return the entries further up from the first line to the one with "***" verbatim.
-- Completed --
One molecule with the formula C4H8O2, computed with ωB97M-V/def2-TZVPD.

Geometry as ORCA input:
```
! RIJCOSX wB97M-V def2-TZVPD def2/J DEFGRID3
* xyz 0 1
C -1.948 -0.558 -0.431
C -0.554 -0.068 -0.756
O -0.146 0.911 0.193
C 1.258 0.964 0.301
C 1.707 -0.192 1.178
O 2.517 -1.026 0.855
H -2.651 0.275 -0.343
H -1.952 -1.121 0.508
H -2.292 -1.220 -1.234
H 0.140 -0.922 -0.747
H -0.519 0.379 -1.760
H 1.530 1.918 0.768
H 1.751 0.896 -0.675
H 1.158 -0.236 2.144
*
```

The value obtained for the HOMO energy is -9.72 eV. The molecular weight is 88.1 g mol⁻¹. Its total energy is -307.652291 hartree. The calculation puts the frontier orbital gap at 10.7000 eV. The SMILES is CCOCC=O. For the energy relative to the best compared isomer or geometry (same formula, charge and spin), the calculation gives 157.9 kJ/mol. The LUMO energy comes out at 0.98 eV.

***